Input:
┌──
Record 1
The following is a DFT calculation (the ωB97M-V functional and the def2-TZVPD basis) of C51H44N8NaO7S3 as an isolated structure at a distorted geometry.

Last column: Löwdin charge in e.
Cartesian coordinates (Å):
Na1 -0.50 -0.38 -0.14  0.098
O1 -3.19 2.17 1.51  0.101
C1 -2.50 1.02 1.39  -0.485
O2 -2.91 0.08 0.75  0.092
C2 -1.34 0.94 2.37  -0.174
C3 -1.21 1.88 3.37  0.003
C4 -0.18 1.72 4.29  -0.052
C5 0.69 0.66 4.13  -0.009
C6 0.50 -0.22 3.08  -0.165
N1 -0.52 -0.10 2.23  0.186
C7 1.54 -1.33 2.83  -0.637
O3 2.63 -1.17 3.43  -0.050
O4 1.17 -2.31 2.15  -0.038
H1 -3.84 2.15 0.80  0.126
H2 -1.89 2.72 3.41  0.115
H3 -0.05 2.44 5.09  0.102
H4 1.54 0.51 4.78  0.111
N2 1.13 1.57 -2.24  0.039
C8 0.62 2.85 -1.75  -0.181
C9 -0.46 2.82 -0.66  -0.677
O5 -0.92 3.92 -0.32  -0.033
O6 -0.83 1.68 -0.25  -0.099
H5 1.65 1.11 -1.50  0.050
H6 0.33 0.95 -2.39  0.028
H7 0.19 3.42 -2.58  0.099
H8 1.45 3.44 -1.37  0.106
N3 0.89 -1.84 -1.15  -0.231
S1 0.10 -3.04 -1.32  0.768
N4 -0.39 -3.45 -2.91  -0.364
S2 0.04 -2.45 -4.00  0.864
N5 -0.69 -1.12 -4.31  -0.361
S3 -1.87 -0.64 -3.22  0.753
N6 -1.72 -0.91 -1.81  -0.244
C10 -2.02 1.05 -3.73  -0.300
C11 -2.55 1.86 -2.73  -0.057
C12 -2.71 3.21 -2.97  -0.058
C13 -2.37 3.74 -4.21  -0.075
C14 -1.84 2.92 -5.20  -0.081
C15 -1.65 1.57 -4.97  -0.067
C16 -3.32 -1.40 -3.97  -0.282
C17 -3.43 -1.69 -5.32  -0.069
C18 -4.56 -2.33 -5.79  -0.083
C19 -5.58 -2.68 -4.91  -0.091
C20 -5.46 -2.39 -3.55  -0.075
C21 -4.32 -1.75 -3.07  -0.061
C22 1.76 -2.04 -3.91  -0.329
C23 2.15 -0.71 -3.90  -0.073
C24 3.50 -0.44 -3.71  -0.053
C25 4.41 -1.47 -3.56  -0.062
C26 3.99 -2.80 -3.59  -0.065
C27 2.65 -3.09 -3.76  -0.068
C28 -0.05 -3.43 -5.48  -0.295
C29 0.10 -2.76 -6.69  -0.063
C30 0.01 -3.49 -7.86  -0.071
C31 -0.24 -4.86 -7.82  -0.080
C32 -0.39 -5.50 -6.60  -0.067
C33 -0.29 -4.79 -5.41  -0.050
C34 1.00 -4.55 -0.94  -0.293
C35 0.72 -5.79 -1.50  -0.080
C36 1.54 -6.87 -1.19  -0.091
C37 2.60 -6.70 -0.31  -0.093
C38 2.84 -5.46 0.27  -0.062
C39 2.04 -4.37 -0.05  -0.051
C40 -1.47 -3.41 -0.46  -0.292
C41 -1.51 -3.09 0.89  -0.047
C42 -2.66 -3.43 1.61  -0.056
C43 -3.72 -4.06 0.98  -0.084
C44 -3.66 -4.36 -0.38  -0.090
C45 -2.53 -4.04 -1.11  -0.092
H9 -2.75 1.42 -1.76  0.104
H10 -3.06 3.86 -2.17  0.112
H11 -2.48 4.80 -4.39  0.103
H12 -1.55 3.35 -6.16  0.099
H13 -1.21 0.93 -5.72  0.097
H14 -2.62 -1.42 -6.00  0.097
H15 -4.65 -2.56 -6.85  0.100
H16 -6.46 -3.18 -5.28  0.098
H17 -6.25 -2.67 -2.87  0.104
H18 -4.18 -1.54 -2.02  0.113
H19 1.43 0.09 -3.96  0.079
H20 3.82 0.59 -3.66  0.110
H21 5.46 -1.24 -3.39  0.106
H22 4.70 -3.60 -3.44  0.105
H23 2.30 -4.12 -3.73  0.114
H24 0.29 -1.69 -6.71  0.116
H25 0.13 -2.99 -8.82  0.105
H26 -0.32 -5.42 -8.74  0.102
H27 -0.58 -6.57 -6.57  0.105
H28 -0.41 -5.26 -4.45  0.094
H29 -0.12 -5.92 -2.17  0.093
H30 1.34 -7.84 -1.62  0.097
H31 3.24 -7.55 -0.06  0.096
H32 3.66 -5.34 0.97  0.106
H33 2.19 -3.40 0.41  0.086
H34 -0.66 -2.62 1.39  0.080
H35 -2.71 -3.18 2.66  0.111
H36 -4.61 -4.31 1.55  0.097
H37 -4.50 -4.84 -0.87  0.098
H38 -2.48 -4.25 -2.17  0.094
N7 5.02 -1.25 1.67  0.197
C46 5.39 -0.04 1.21  -0.512
O7 6.50 0.21 0.75  0.024
C47 4.33 1.02 1.32  -0.125
C48 4.64 2.28 1.80  -0.011
C49 3.61 3.20 1.96  -0.053
C50 2.32 2.82 1.61  -0.121
N8 2.02 1.63 1.10  0.113
C51 3.02 0.76 0.96  -0.082
H39 5.72 -1.98 1.64  0.106
H40 4.18 -1.38 2.23  0.062
H41 5.66 2.51 2.06  0.117
H42 3.81 4.18 2.36  0.097
H43 1.48 3.51 1.73  0.114
H44 2.75 -0.22 0.55  0.118

Values from the calculation:
**Energy relative to the best compared isomer or geometry (same formula, charge and spin)**: 0.000 eV
**Multiplicity**: 1
**Frontier orbital gap**: 7.03 eV
**Lowest unoccupied orbital energy**: 1.81 eV
**Total charge**: -1

***

Record 2
The following is a DFT calculation (the ωB97M-V functional and the def2-TZVPD basis) of C51H45CrN4O4P as an isolated structure.

Last column: Löwdin spin population.
Cartesian coordinates (Å):
Cr1 0.03 0.00 0.59  0.990
C1 6.24 -3.02 -5.93  0.000
O1 6.59 -2.94 -4.56  0.001
C2 5.62 -2.62 -3.67  0.001
└──
Job:
The reader should find "-4.12 -3.73" and "-5.92 -2.17" in the material earlier on, and duplicate these two lines and those between.
Worked solution:
H23 2.30 -4.12 -3.73  0.114
H24 0.29 -1.69 -6.71  0.116
H25 0.13 -2.99 -8.82  0.105
H26 -0.32 -5.42 -8.74  0.102
H27 -0.58 -6.57 -6.57  0.105
H28 -0.41 -5.26 -4.45  0.094
H29 -0.12 -5.92 -2.17  0.093